Thu 13 Jan, 2005 11:10 am
Ok, yeah Im opening a big can of worms here..
but I do want to know your opinions.
What is it that makes this country great?
Why are you happy with it?
What do you like about it? What makes this country out of all the others the one place everyone should live?
Just curious to see the diffrent opinions and values people have.
I love the diversity, the different cultures that somehow
live in harmony and tolerance next to each other.
With hard work, everyone can fulfill their dreams, and
be what they want to be.
I also enjoy the tremendously beautiful nature. Every state has its beauty and I like the openess of it too. I live in a city but 30 minutes outside from it, I'll find nature pure without hundreds of people picnicing at
the same spot
I appreciate the generosity of the people and their readiness
to help.
Now, I'm saying this, while living in beautiful, progressive, tolerant California. I might think differently in one of the
bible belt states.
The people, generally speaking. The ingenuity, freedom of expression and work ethic that generally makes us a bastion of great ideas. The melting pot, the geography, and the form of government. The sheer obstinance of her people.

so true.
I have lived in california.. i had a BLAST!
And yeah, america is a HUGE melting pot. I dont know of any other place that you can live that has such diversity.
I know in San Francisco, over about 10 sq miles you can visit diffrent parts of the city that resemble diffrent countries.
You have china town, little italy etc. It is amazing the diffrences of culture that have arrived and thrived here.
Sorry to burst the bubble, but most countries have all of this. You do have an enormous amount of freedom and I guess you're all decent folks, certainly MOST of the Americans i've met were wee smashers! Please though, behave this way abroad! There's a reason why things are smaller here!
Oh, and you gave us Jeff Buckley!!!! But then you did shoot Lennon! McDonalds, Starbucks, Nuclear weapons. Springer!
Bill Hicks made America great. You have the power to say you're the greatest country in the world AND slag the **** out of it! Now that's freedom! Well done!
Take care y'all
Traditional characteristics that make a country great include but are not limited to economic strength, military power, a strong sense of morality, political influence, and dyanamic people. Many civilizations throughout history have shared some of these characteristics.
Pepito should seek work with the Republican Party. There is no reason to assume that "America is great." I prefer to live here over any other nation i've seen (and i've seen not a few), with the exeption of Canada. Canada's attraction is a cooler climate, but above all, it is where my Sweetiepie lives.
However, that does mean that the United States is "great." Our economic strength does not prevent hunger and malnutrition here at home. Our military strength does not protect us from terrorists, foreign or domestic. Our "strong sense of morality" (oh please, i've just eaten) gives us to rest of the world a well-deserved image of self-righteous hypocricy, even as our domestic tranquility is shattered by the rantings and actitivism of reactionary Protestants who fall far to the right of John Calvin and Ulrich Zwingli. I consider the contention that the United States possesses political influence a laughable absurdity. Our 'dynamic people," if the appellation is warranted, are dynamic because, in fact, they derive from every other nation on earth.
This is a good country, as countries go, despite our politics, despite a tendency developed in the last 60 years to bully others militarily, despite the economic exploitation of the poor right across the globe and not least in our own country, despite the moral blue-noses of the right, despite the ham-handed attempts to meddle in the politics of others.
I prefer it here--i have no illusions that we are "great." It is the ordinariness, the lack of an oligarchy, the hope that we might someday return to our ancient republican values which lead me to say that we are a good country.
Who needs "great?" Who, rationally, would want it?
Thank you for your letter of recommendation but I am not seeking employment now.
I have had the good fortune to travel all over the world. You might be interested to know that many people all over the world agree that the characteristics I mentioned is what makes a country great. I have been to Mongolia, Tajikistan, Egypt, Mexico, India, China, Indonesia, and Italy and quite a few other countries. I can assure you that citizens of these countries are all too willing to tell you about how great their countires used to be.
Which i can assure is a matter of complete indifference to me. It may come as news to you, but you are not, by a long shot, the most well-travelled member here. Odd, but when i was in foreign countries, the subject of what does or does not make a nation "great" never came up. Maybe that's because we were all busy living life, and enjoying the local sights.
Pepito, if you compare the US to countries like Mexio and
Mongolia, India and China, then yes, we have by comparison
a higher standard of living and more freedom.
Being born in Europe and traveled extensively, I can assure
you, that no one is getting green with envy for not living
in the US.
Pointing out why we enjoy living here, doesn't mean, we
need to be superior to other nations.
Calamity Jane, as a well-travelled person, have you ever been to Delaware? It's really beautiful this time of year.
## Inserted here: crystal structures
........
! SbTe2IBr (PBE, relaxed); values from VASP
&SYSTEM
  ibrav = 0, nat = 5, ntyp = 4
/
ATOMIC_SPECIES
I 126.90 I.upf
Sb 121.76 Sb.upf
Te 127.60 Te.upf
Br 79.90 Br.upf
CELL_PARAMETERS angstrom
-2.7600 -4.9894 1.0614
1.3753 0.4343 5.6177
-4.9793 2.9650 0.9898
ATOMIC_POSITIONS crystal
I 0.0000 0.0000 0.5000
Sb 0.0000 0.0000 0.0000
Te 0.0000 0.5000 0.0000
Te 0.5000 0.0000 0.0000
Br 0.5000 0.5000 0.5000
! Calculated density (g/cm³): 4.9
! ΔE to the lowest computed polymorph (meV per atom): 0
! Space group: P4/mmm
! Spin magnetization (μB per atom): 0.0008
........
So, to answer your question, the reason why America is great, is because I live here. Slappy Doo Hoo: a self-centered jerk who finds great pleasure in mocking others.
Yes I have Slappy, and driving the Chesapeake Bay Bridge (to Virginia Beach) was quite a memorable, breathtaking experience.
I've been to Boston too
The best part about touring Boston is driving down the street, and pointing out to your friends "see that corner? I puked there. See that alley? I urniated there."
I guess, that is if you drink.
We have some great natural resources and loads of beaches. That always helps make a place good.
I think that our public willingness to cheer on (Freedom with a capital F) is admirable. I think the legacy of our native Americans is great. We have history here and some real heroes. I like the variety of opportunities, the lack of an entrenched peerage & baseball. I also like state governments and I like interstate highways.
Chips Ahoy and Nestles Quik.
Slappy Doo Hoo wrote:The best part about touring Boston is driving down the street, and pointing out to your friends "see that corner? I puked there. See that alley? I urniated there."
I guess, that is if you drink.
Well, I'm a lot older than you and don't puke anymore while drinking
I don't puke either....but that's because I'm a pro.